
Monday, October 4, 2010

Meet Hayden.

Oh little brother, how I love you.

This video was taken after our family reunion weekend in SoCar- South Carolina (haa, I crack myself up) so he was clearly tired and actually loves running, and will be running the Turkey Trot with me, right Hayden?

I love Gaffney (population: the Phillips family), but I'm not sure if I could live there. The weekend involved...

Muscadines (pronounced scuppernogs by the local folk) which are addicting and give you the worst stomach ache if you eat too many. Believe me, this comes from personal experience. The problem is, it happens every family reunion because they are so good that I have to keep eating them. I'm trying to live a life of moderation, but the muscadines are just one example of problem areas. Others include, cereal at breakfast, lunch, and dinner and my ability to stay up all night watching True Life. Oh, and 7 to 8 Diet Cokes per day.

Kentucky Fried Chicken (We went to pick up the KFC and two guys had to wheel a dolly out to the car with the chicken because we (aka my sister, Ashleigh) ordered a billion buckets.

Lunch and breakfast at Cracker Barrel. When you go to Cracker Barrel you must rock in a rocking chair, play checkers, play the annoying table game over and over again and lose over and over again, eat a biscuit, and get a piece of lemon icebox pie. EXCEPT this time of year they do not serve lemon icebox pie. lame.

Gladiator. The movie. So good.

Family. I love my Phillips fam.


Running. Impressive huh? Yeah, I didn't think I was actually going to do it either. But, I did. Four miles at four in the morning in the frigid cold. Not really, but I like alliterations. Actually, it was four miles at 7:30 in the semi-frigid cold. But that just doesn't sound as good phonetically or literally.

I walked out of the hotel and turned left. In around 2 minutes I was running past pastures and cows (milking a cow is on my bucket list, but I didn't want to screw up my normal 6 min/mile pace so I kept going) and bales of hay and Laura Ingalls Wilder and little houses on the prairie. It was pretty cold when I started running, but I eventually got use to the cooler weather. What I did not get use to was the hills. It was hilly.

When I started off, this kind of sketchy guy (long black trench coat, black du-rag) was smoking a cigarette by the side of the road. At this point I was going down hill so I ran by somewhat quickly and repeated 'eyes and throat, eyes and throat' (self defense lingo) incase I was attacked from behind. Fortunately, "Love Story" by Taylor Swift was not interrupted and I continued on. Thirty or so minutes later, I'm running the other way past this same point and the trench coat du-rag guy is still there! I was kind of an anxious kid and can still make myself pretty distressed- watch this...

'''
# 1
Computed, not measured: a molecular structure, C17H54BrN17O14SSi2, with ωB97M-V/def2-TZVPD.

Cartesian coordinates (Å):
O -11.517 -0.821 7.618
H -1.566 1.059 8.009
H 1.048 -0.932 -0.216
N -2.163 -3.417 2.208
O -1.404 -1.287 2.411
H 4.572 -7.351 0.133
H -1.412 -3.626 1.582
H 0.313 1.343 -1.367
H -1.800 -0.647 -1.326
H -9.540 -0.094 8.223
H 4.333 -3.549 -2.504
O -2.457 1.089 -3.183
H 1.797 2.500 -4.821
O 9.820 -2.280 0.770
O -3.419 0.169 5.590
H -4.934 1.563 7.025
H 5.541 1.460 -3.204
H 9.223 -0.258 -0.541
N 6.299 -3.133 -0.997
C 0.676 3.975 -3.716
C -1.544 3.779 -2.429
O -7.045 1.288 6.814
O 4.036 3.388 -3.984
Br -5.540 2.063 -3.013
C 6.545 5.384 -6.781
N 11.239 -2.734 -0.942
H -2.431 4.408 -2.409
H 2.267 1.421 -2.395
H -3.744 1.903 8.231
S 1.011 -1.140 -2.513
O 0.101 -0.708 -3.527
H 11.533 -3.572 -0.479
N 3.815 -6.708 0.257
O -4.151 0.028 -4.955
H -1.183 0.087 6.632
H -4.955 -0.364 -4.617
H -3.338 -0.973 3.971
H 5.419 3.651 -6.456
C -0.949 -0.325 -0.732
H 10.288 -0.567 -1.866
C 3.682 -5.712 -0.668
H 11.640 -2.499 -1.828
N 2.644 -4.851 -0.461
H -10.208 -0.463 5.527
C 5.420 -2.163 -1.377
N -11.184 -0.649 5.379
H 5.837 5.222 -4.819
H 0.580 1.831 -3.759
H 4.970 1.872 -1.605
H -1.232 4.717 -4.348
H -0.857 4.119 -1.654
H -11.538 -0.657 4.442
N -1.851 0.621 7.155
C -7.855 0.426 7.118
O 2.263 -0.436 -2.413
N 2.375 2.331 -2.821
H -8.448 -1.565 6.817
O 5.506 -0.999 -1.014
H 6.216 -4.091 -1.289
H 3.730 -1.915 -2.493
H 6.050 3.878 -8.054
H 4.195 0.550 -2.464
N -3.254 -1.899 3.569
C -11.968 -0.843 6.482
O 7.185 6.045 -7.583
H -3.925 -2.596 3.823
H 1.062 4.630 -4.492
H 2.014 -4.925 0.313
C -2.228 -2.139 2.716
N 5.948 4.198 -7.112
C 0.262 -1.224 -0.906
O 1.329 -2.688 -2.752
H -2.821 -4.136 2.438
N 9.919 -0.836 -0.975
H -1.227 -0.484 0.308
H -13.890 -1.200 7.026
H 0.969 4.413 -2.765
Si -3.739 1.394 -4.153
H -13.688 -1.076 5.314
C -0.666 1.184 -0.918
C 1.352 2.594 -3.832
N -8.867 0.622 7.999
C 3.691 2.506 -3.195
C -3.116 0.718 6.641
H 2.537 -4.090 -1.106
H -3.150 2.162 -0.900
N 6.365 5.764 -5.482
H -1.086 2.958 -4.381
H 1.424 -2.791 -3.708
N 4.414 -2.592 -2.203
O 4.453 -5.603 -1.612
H 7.052 -2.861 -0.390
H -0.638 1.676 0.054
C 4.653 1.523 -2.585
N -13.293 -1.058 6.234
H -8.946 1.524 8.427
H -7.071 -1.020 5.916
N -3.993 1.457 7.370
C 10.297 -1.967 -0.307
H -0.026 -2.258 -0.741
H 3.204 -6.818 1.043
N -7.810 -0.833 6.568
C -0.848 3.854 -3.811
Si -2.040 2.054 -1.871
H 6.782 6.627 -5.193
H -3.344 2.394 -5.146

Orbital gap, eV: 9.07
HOMO level, eV: -9.09
Net charge: 0

Löwdin atomic charge list, values in e, 99 entries:
1 O 0.007
2 H 0.091
3 H 0.123
4 N 0.142
5 O 0.010
6 H 0.105
7 H 0.085
8 H 0.053
9 H 0.101
10 H 0.067
11 H 0.069
12 O -0.340
13 H 0.122
14 O 0.015
15 O 0.005
16 H 0.066
17 H 0.088
18 H 0.105
19 N 0.170
20 C -0.172
21 C -0.243
22 O 0.010
23 O 0.021
24 Br 0.379
25 C -0.692
26 N 0.143
27 H 0.070
28 H 0.058
29 H 0.096
30 S 0.633
31 O -0.242
32 H 0.098
33 N 0.157
34 O -0.183
35 H 0.103
36 H 0.033
37 H 0.063
38 H 0.080
39 C -0.260
40 H 0.091
41 C -0.659
'''

'Oh my gosh, he's still there! He for sure wants to attack me, but he was just waiting for me to come back because he wanted me to be more tired so I couldn't fight him off. He also probably has weapons hiding in his trench coat and has thought of a plan for when I came back this way. He has stopped smoking because he wants both hands free to grab me and drag me off. No matter how hard I scream no one will hear me because we are in the middle of nowhere. This is how all horror movies start, a happy, carefree, morning run during a family reunion in a small peaceful town. And horror movies are just like real life. I'm never going to see my family again! or my friends! or eat muscadines! or eat cereal! or drink diet coke! I will no longer live my life of failed moderation!!1!!1one!!1'

... So, I ran. Hard. Up hill. For my last half mile. And ended at the front of the hotel- sweaty and exhausted and panting, but alive. And, with a new fervor for life, I walked inside and ate the complimentary breakfast. yum.


  1. Did the breakfast include cereal?

  2. SO crazy impressed that you ran in Gaffney!!! You rock. I think I would have had that EXACT dialogue running through my head if I saw a guy in a black trench coat wearing a do-rag in the middle of the countryside.

  3. I HAVE SO MANY THINGS TO SAY ABOUT THIS. 1) I love family reunions but everyone in my family lives in Dallas so it isn't as cool! I'm so jealous of your tradition! 2) Had to google muscadine. Looks like a large grape. Whaaa?? 3) HAHA HAYDEN IS HILARIOUS CAN I PLEASE BE HIS FRIEND 4) I am glad we WAY overanalyze all situations i.e. creepy trenchcoat man. I would have done the exact same thing ahhhh thank goodness for Taylor Swift 5) New tswift CD this month! Get pumped!!! 6) 6 min/mile pace??! IS THAT SOME KIND OF SICK JOKE WHO ARE YOUUUU THAT IS BEYOND FAST THAT IS BEYOND SPRINTING you are joking right????? 7) I hope Letting Go (Dutty Love) by Sean Kingston and Nicki Minaj is on your running playlist. Also I have had an insane obsession w Mac Miller for the past month.. He's the background on my phone. For a good running song, look up his song Don't Mind If I Do. I know you will really appreciate the way he remixed Fireflies.. But forreal. 8) SO ESSSITED TO SEE YOU IN A FEW DAYS! Can I run with you??? Please? 9) THANK YOU FOR THE JDs I died and went to heaven. Have been craving that M&M cookie for months. 10) I love you :) I think that is all :) :)
